== Contents ==
Record 1
Entry from OMol25: a cluster of 9 separate species, C33H77F6N5O14P in total at a distorted geometry (ωB97M-V/def2-TZVPD).

Charge = -1
ΔE to the lowest compared entry with this formula, charge and spin = 136.6 kcal per mole
HOMO energy = -7.63 eV
LUMO = 1.98 eV
Calculated total energy = -97178.90488 eV
Orbital gap = 9.607 eV

Cartesian coordinates (Å):
P: -13.6554 -2.7029 27.5630
F: -14.9817 -1.7155 27.2727
F: -13.7347 -2.1259 29.0680
F: -14.5727 -4.0391 27.9337
F: -12.2557 -3.5262 27.8503
F: -13.6110 -3.1500 25.9746
F: -12.7250 -1.5079 27.0683
C: -15.5689 -6.0856 32.6017
O: -16.1971 -7.2311 33.1455
C: -17.1833 -7.8073 32.3295
C: -18.4617 -6.9811 32.0165
O: -19.4526 -7.1922 33.0316
C: -20.6477 -6.6177 32.5795
C: -21.7163 -6.4661 33.6946
O: -22.0178 -7.7070 34.3866
C: -23.1651 -8.3747 33.9168
H: -15.0807 -6.3477 31.6631
H: -14.8177 -5.8754 33.3630
H: -16.2635 -5.2456 32.6065
H: -17.4507 -8.7518 32.8034
H: -16.7217 -8.0338 31.3683
H: -18.8016 -7.4572 31.0968
H: -18.3175 -5.9183 31.8220
H: -21.0617 -7.2099 31.7633
H: -20.4520 -5.6236 32.1776
H: -22.5484 -5.8600 33.3362
H: -21.3720 -5.8109 34.4948
H: -23.9832 -7.7191 33.6185
H: -23.6241 -9.0186 34.6669
H: -22.9752 -8.9374 33.0028
C: -21.3397 -1.8161 21.4974
O: -21.0470 -2.6691 22.6028
C: -20.1918 -2.1675 23.5489
C: -20.0300 -3.1910 24.6618
O: -21.2570 -3.6633 25.2461
C: -21.4445 -3.5968 26.6709
C: -22.7852 -4.0059 27.1030
O: -22.6931 -5.4596 27.0102
C: -23.9382 -6.0983 27.3684
H: -21.6856 -0.7954 21.6610
H: -22.1084 -2.4021 20.9937
H: -20.4562 -1.7465 20.8629
H: -20.6836 -1.2398 23.8416
H: -19.2841 -2.0194 22.9638
H: -19.4381 -2.8183 25.4979
H: -19.4546 -4.0038 24.2188
H: -21.1625 -2.5795 26.9426
H: -20.7754 -4.3109 27.1509
H: -23.5684 -3.6013 26.4620
H: -22.8953 -3.7320 28.1523
H: -24.2571 -5.7911 28.3644
H: -23.8061 -7.1802 27.3778
H: -24.6215 -5.7818 26.5804
C: -23.6705 11.2930 22.5651
O: -23.3766 10.0355 22.0332
C: -22.2890 9.3589 22.7238
C: -21.8843 8.0510 22.0196
O: -20.9496 7.2676 22.7541
C: -20.5507 6.0594 22.1042
C: -19.4593 5.4019 22.9177
O: -19.9081 4.8363 24.2069
C: -18.9315 4.2137 24.9656
H: -24.3097 11.1724 23.4397
H: -24.2266 11.8464 21.8085
H: -22.6824 11.7331 22.6992
H: -22.4768 9.1032 23.7666
H: -21.4328 10.0329 22.7485
H: -21.5181 8.1892 21.0022
H: -22.7752 7.4572 21.8154
H: -20.2253 6.2867 21.0891
H: -21.3389 5.3075 22.0656
H: -18.6611 6.1375 23.0176
H: -19.1033 4.5949 22.2773
H: -18.2517 3.6497 24.3271
H: -19.3633 3.5380 25.7039
H: -18.3031 4.9471 25.4711
C: -17.5357 1.2093 31.7209
O: -18.7183 0.9805 32.0315
N: -16.7769 2.1956 32.2768
C: -15.4136 2.4622 31.8121
C: -17.1708 2.9093 33.4529
H: -16.9032 0.7415 30.9506
H: -15.1614 1.8758 30.9286
H: -14.7213 2.2126 32.6162
H: -15.1925 3.4998 31.5619
H: -16.5974 2.5472 34.3063
H: -17.0224 3.9750 33.2790
H: -18.1979 2.6496 33.7092
C: -5.3128 -5.3778 31.4755
O: -4.3292 -4.8376 31.0155
N: -6.3942 -5.7303 30.7865
C: -7.5594 -6.2785 31.3930
C: -6.5259 -5.5638 29.3847
H: -5.4346 -5.5996 32.5470
H: -8.4596 -5.7825 31.0300
H: -7.6647 -6.1212 32.4664
H: -7.6851 -7.3399 31.1790
H: -6.6499 -6.5557 28.9501
H: -7.4134 -4.9993 29.0985
H: -5.6360 -5.1832 28.8834
C: -8.0078 -3.9857 23.8712
O: -7.0755 -3.3948 24.3975
N: -7.8673 -4.9994 23.0530
C: -6.5521 -5.6189 22.7207
C: -9.0275 -5.8032 22.5317
H: -9.0386 -3.5998 23.8982
H: -6.5202 -6.6139 23.1647
H: -5.7242 -4.9872 23.0427
H: -6.4908 -5.8226 21.6517
H: -8.7218 -6.3651 21.6491
H: -9.1773 -6.4150 23.4213
H: -9.8951 -5.1668 22.3574
C: -10.8674 4.2158 24.7638
O: -11.8510 4.8319 24.3796
N: -9.5754 4.5876 24.7830
C: -8.5161 3.7363 25.2915
C: -9.1988 5.9376 24.4514
H: -11.0132 3.1893 25.1340
H: -8.7937 2.7602 25.6891
H: -8.1143 4.3007 26.1330
H: -7.7810 3.6047 24.4974
H: -8.8274 6.4323 25.3488
H: -8.5295 5.9676 23.5915
H: -10.1162 6.4384 24.1420
C: -14.6394 -9.0720 21.7656
O: -14.9344 -7.9756 21.2905
N: -14.7151 -9.4289 23.0553
C: -14.1340 -10.7510 23.4526
C: -15.1893 -8.4370 24.0793
H: -14.3447 -9.9246 21.1344
H: -13.0456 -10.7236 23.5039
H: -14.2946 -11.4324 22.6171
== Activity ==
Copy the part of the calculation results above that starts with the line with "(Å):" and stops after the one with "-22.0178 -7.7070", please.
== Result ==
Cartesian coordinates (Å):
P: -13.6554 -2.7029 27.5630
F: -14.9817 -1.7155 27.2727
F: -13.7347 -2.1259 29.0680
F: -14.5727 -4.0391 27.9337
F: -12.2557 -3.5262 27.8503
F: -13.6110 -3.1500 25.9746
F: -12.7250 -1.5079 27.0683
C: -15.5689 -6.0856 32.6017
O: -16.1971 -7.2311 33.1455
C: -17.1833 -7.8073 32.3295
C: -18.4617 -6.9811 32.0165
O: -19.4526 -7.1922 33.0316
C: -20.6477 -6.6177 32.5795
C: -21.7163 -6.4661 33.6946
O: -22.0178 -7.7070 34.3866